View Full Version : Sometimes politics are necessary....

Mike McKenzie
02-15-2012, 05:34 PM
This is one of those times...

Well, as I said after our success with the Fish and Game Commission, we won a battle but the war is yet to be finished...Here's the next battle and it came quick! If you want any Striped Bass in the Bay/Delta or anywhere else in California,or any other anadromous fisheries for that matter! You better get in touch with your Congressional Representative because H.R. Bill 1837 by Rep. Devin Nunes, R-Tulare, and co-sponsored by House Majority Whip Kevin McCarthy, R-Bakersfield is out kill the CVPIA and it's fisheries restoration objectives, as well as sucking Northern California dry. This is a classic example of self serving greed by Southern San Joaquin Valley Corporate AG...

We need to get everyone we know to write, phone and e-mail their Congressional Rep.'s as well as copy both of their Senators! This Bill is going to committee soon and then to the floor for a vote. We need to act quickly!
Below is just a sample of part of the Bill's language. Especially read (b)(2) below, I'm told that this is an amendment by Tom McClintock.. If they can't win a lawsuit then they buy congressional reps. to overturn any State laws.


(a) Compliance-

(1) IN GENERAL- All requirements of the Endangered Species Act of 1973 (16 U.S.C. 1531 et seq.) shall be considered to be fully met for the protection and conservation of the species listed pursuant to the Act for the operations of the Central Valley Project and the California State Water Project, if the Central Valley Project and the California State Water Project are operated in a manner consistent with the `Principles for Agreement on the Bay-Delta Standards Between the State of California and the Federal Government' dated December 15, 1994.

(2) BIOLOGICAL OPINIONS AND MODIFICATION- The Secretary of the Interior and the Secretary of Commerce shall issue biological opinions for coordinated operations of the Central Valley Project and the California State Water Project that are no more restrictive than provisions of the `Principles for Agreement on the Bay-Delta Standards Between the State of California and the Federal Government' dated December 15, 1994. Such biological opinions may be modified only with the consent of the signatories to the `Principles for Agreement on the Bay-Delta Standards Between the State of California and the Federal Government' dated December 15, 1994.

(b) Preemption of State Law-

(1) STATE LAW PREEMPTION- Neither the State of California, an agency of the State, nor any political subdivision of the State shall adopt or enforce any requirement for the protection or conservation of any species listed under the Endangered Species Act for the operations of the Central Valley Project or the California State Water Project that is more restrictive than the requirements of this section. Any provision of California State law that authorizes the imposition of conditions or restrictions on the operations of the Central Valley Project or the California State Water Project for the protection or conservation of a species that is more restrictive than this section is preempted.

(2) NATIVE SPECIES PROTECTION- Any restriction imposed under California law on the take or harvest of any nonnative or introduced aquatic or terrestrial species that preys upon a native fish species that occupies the Sacramento and San Joaquin Rivers and their tributaries or the Sacramento-San Joaquin Rivers Delta shall be void and is preempted."

We all need to start a tidal wave of opposition to HR 1837
Go read it yourself to see what a dangerous bill this is. It will be the complete and total rape of Northern California for Stewart Resnick's personal enrichment and others of his ilk! Read it here:



02-15-2012, 11:02 PM
This bill has been the subject of a couple of articles in the SacBee and the SF Chron in the recent past. Probably one of the most arrogant, blantant attempts to legislate an outcome that was DOA on every other level before. :confused:

This is the first chance I've had to read the entire bill. It's apparent that the major push is to rush back to the past. But, if I recall my readings of the US Constitution, congress cannot pass a retroactive law. At any rate, I'll be sending off some reading of our "all knowing" legislators to check out. :nod:

Frank Alessio
02-15-2012, 11:31 PM
I did my e-mails as requested Mike... I appreciate your diligence on these matters.. I also suggested that they could have a lot more water if they just moved the Delta pumps just a little ways outside the Golden Gate Bridge... Then they could sell Salt Water ....

03-06-2012, 06:23 AM
How freaking audacious! (Resnick/Westlands).

Just read the bill.

What's next? changing the US Constitution to read, "We the water barons of the US of A..."?

Letters sent, word spread....

Thanks Mike

• Misplaced data records:
1 | Molecular formula: C10H30BrN6O4
Method: DFT, ωB97M-V/def2-TZVPD

```
! RIJCOSX wB97M-V def2-TZVPD def2/J DEFGRID3
* xyz -1 1
Br 0.78 -1.08 1.12
C -0.44 0.68 -2.66
C -0.81 -0.83 -2.72
C 0.41 -1.70 -3.00
O -0.03 -2.92 -3.66
C 0.96 -3.67 -4.26
N -1.53 -1.23 -1.49
H 0.27 0.87 -1.86
H -1.33 1.27 -2.47
H 0.15 1.21 -3.41
H -1.41 -0.94 -3.62
H 1.08 -1.99 -2.18
H 1.14 -1.04 -3.48
H 0.63 -4.69 -4.43
H 1.78 -3.86 -3.57
H 1.44 -3.25 -5.14
H -1.57 -2.23 -1.39
H -1.02 -1.03 -0.64
C -1.60 2.23 1.17
C -2.35 1.82 2.48
C -3.86 1.26 2.43
O -4.27 0.81 3.72
C -5.49 0.10 3.69
N -1.47 0.91 3.17
H -1.02 1.42 0.73
H -0.79 2.92 1.42
H -2.09 2.76 0.35
H -2.31 2.75 3.05
H -4.00 0.53 1.64
H -4.62 1.99 2.17
H -5.74 -0.45 4.59
H -5.47 -0.60 2.86
H -6.28 0.81 3.42
H -2.13 0.54 3.83
H -1.17 0.16 2.56
C 4.55 -1.38 -0.22
O 5.74 -1.44 -0.48
N 3.54 -0.95 -0.91
N 4.05 -1.90 0.87
H 3.82 -0.53 -1.78
H 2.57 -0.98 -0.62
H 4.57 -2.43 1.55
H 3.09 -1.75 1.13
C 2.98 2.75 0.76
O 3.42 3.90 0.68
N 1.77 2.41 0.74
N 3.69 1.61 0.79
H 1.40 1.49 0.95
H 1.18 3.21 0.58
H 3.08 0.81 0.85
H 4.70 1.63 0.71
*
```

- HOMO energy: -6.0 eV
- E_LUMO: 2.763 eV
- HOMO-LUMO gap: 8.7 eV

=====

2 | Molecular formula: C10H30BrN6O4
Method: DFT, ωB97M-V/def2-TZVPD

```
! RIJCOSX wB97M-V def2-TZVPD def2/J DEFGRID3
* xyz -1 1
Br -23.29 18.42 9.26
C -23.17 15.73 8.92
C -22.80 16.21 7.51
C -23.33 15.30 6.40
O -22.66 14.00 6.46
C -23.54 12.93 6.49
N -23.26 17.51 7.31
H -24.19 15.36 8.91
H -23.03 16.59 9.58
H -22.47 14.95 9.20
H -21.71 16.17 7.46
H -23.10 15.74 5.43
H -24.41 15.19 6.47
H -24.58 13.10 6.18
H -23.69 12.56 7.50
H -22.99 12.09 6.07
H -24.26 17.36 7.38
H -23.00 17.92 8.20
C -23.01 15.93 11.35
C -24.45 16.33 10.83
C -25.51 15.69 11.66
O -25.55 14.33 11.30
C -26.67 13.64 12.00
N -24.47 17.70 10.95
H -22.69 14.89 11.19
H -22.89 16.02 12.43
H -22.36 16.65 10.86
H -24.44 15.95 9.80
H -26.50 16.01 11.35
H -25.50 15.82 12.74
H -26.99 12.87 11.29
H -27.46 14.37 12.18
H -26.27 13.20 12.91
H -25.31 18.16 10.64
H -23.80 18.04 10.27
C -21.99 21.29 8.88
O -21.92 21.23 7.69
N -22.52 20.47 9.68
N -21.75 22.37 9.49
H -22.73 20.82 10.60
H -23.00 19.65 9.36
H -22.03 22.62 10.43
H -21.38 23.12 8.93
C -22.76 20.45 11.72
O -23.21 21.52 11.25
N -22.54 20.15 12.99
N -22.51 19.39 11.11
H -21.98 19.34 13.19
H -22.78 20.78 13.74
H -22.71 18.63 11.74
H -22.59 19.37 10.10
*
```

- HOMO energy: -2.5 eV
- E_LUMO: 2.850 eV
- HOMO-LUMO gap: 5.3 eV

=====

Relative energy of each structure, in kJ/mol: 1 0.0; 2 3797.2.

=====

1 | Molecular formula: CH4F2Si
Method: DFT, ωB97M-V/def2-TZVPD

```
! RIJCOSX wB97M-V def2-TZVPD def2/J DEFGRID3
* xyz 0 1
C 0.32 0.06 -0.54
F -2.48 -1.16 -0.22
F -2.31 1.20 -0.17
Si -1.40 -0.05 0.22
H 1.04 -0.46 0.10
H 0.34 -0.31 -1.52
H 0.49 1.26 -0.64
H -0.96 0.34 2.20
*
```

- HOMO energy: -10.3 eV
- E_LUMO: 0.480 eV
- HOMO-LUMO gap: 10.7 eV

=====

2 | Molecular formula: CH4F2Si
Method: DFT, ωB97M-V/def2-TZVPD

```
! RIJCOSX wB97M-V def2-TZVPD def2/J DEFGRID3
* xyz 0 1
C -1.92 -0.07 -0.39
F 2.59 1.45 0.21

03-07-2012, 09:31 AM

However in the future take the time to write a form letter for the email similar to the river people do when they want our support. It helps because I do not know how to write opposition letters to legislature and as well I really do not have the time to read entire bills then construct a well thought out retort.

Also consider putting these posts in other sections it was a fluke I was reading the striper section of this message board.